To do:
Your job: transcribe the listing below from the line with "1.06192" to the end without altering anything.

Material:
........
A molecular structure, C29H30ClCoF6N9O5S3. Source: the Open Molecules 2025 dataset; level of theory: ωB97M-V with the def2-TZVPD basis set.

Each line ends with the Löwdin spin population.
Cartesian coordinates (Å):
1 Co 0.48181 0.85971 -0.82813  1.109
2 Cl -3.31576 0.39631 0.75322  -0.002
3 C -3.27800 1.71169 -0.39193  -0.012
4 C -4.46782 2.01615 -1.03646  0.002
5 C -4.52942 3.09425 -1.90184  -0.013
6 C -3.39300 3.87000 -2.09363  0.002
7 C -2.21466 3.54091 -1.45105  -0.011
8 C -2.09993 2.43458 -0.59374  -0.006
9 C -0.81006 2.12490 0.05623  -0.095
10 H -5.34126 1.40925 -0.84033  0.000
11 H -5.45916 3.33690 -2.39903  -0.001
12 H -3.43060 4.74363 -2.73291  0.000
13 H -1.33884 4.16368 -1.59534  -0.001
14 H -0.94227 1.70662 1.05369  -0.004
15 H -0.20448 3.03384 0.09055  -0.003
16 O -0.77146 -0.25746 -2.39901  0.024
17 H -0.20204 -0.82348 -2.93690  0.001
18 H -1.00467 0.49080 -2.97997  0.000
19 N -1.13295 -3.56260 4.67347  0.000
20 C -1.77337 -4.64769 5.23411  0.000
21 C -1.84255 -5.13168 6.53668  0.000
22 C -2.60115 -6.26827 6.73342  0.000
23 C -3.26855 -6.90111 5.67125  0.000
24 C -3.19452 -6.41368 4.38325  0.000
25 C -2.43296 -5.26570 4.16447  0.000
26 N -2.19498 -4.57217 2.99142  0.000
27 C -1.42552 -3.57742 3.33223  0.000
28 C -0.92456 -2.56214 2.39704  -0.001
29 C -0.09817 -1.51306 2.79366  0.000
30 C 0.31263 -0.59241 1.85445  -0.001
31 N -0.04344 -0.63790 0.56668  -0.006
32 C -0.82332 -1.65387 0.19101  -0.001
33 C -1.28045 -2.62681 1.06192  0.000
34 H -0.55779 -2.89615 5.15284  0.000
35 H -1.32889 -4.64769 7.35720  0.000
36 H -2.68472 -6.68265 7.72959  0.000
37 H -3.85094 -7.79017 5.87395  0.000
38 H -3.70400 -6.89652 3.56040  0.000
39 H 0.24888 -1.40137 3.81238  0.000
40 H 0.96466 0.21702 2.14559  0.000
41 H -1.10657 -1.67601 -0.84728  0.000
42 H -1.90823 -3.42989 0.70567  0.000
43 C -1.91997 4.16483 -5.73886  0.000
44 C -0.86499 3.05918 -5.70888  0.000
45 C -0.10559 3.03163 -4.42354  0.000
46 N -0.29860 2.17103 -3.49172  0.000
47 N 0.48912 2.35502 -2.38701  -0.007
48 C 1.29411 3.37075 -2.51316  -0.001
49 N 2.15113 3.77808 -1.54542  0.000
50 S 1.11112 4.20266 -4.01702  0.000
51 H -2.47645 4.13170 -6.67497  0.000
52 H -1.46389 5.15239 -5.65289  0.000
53 H -2.62277 4.04050 -4.91520  0.000
54 H -0.16401 3.17900 -6.53752  0.000
55 H -1.33548 2.08160 -5.81526  0.000
56 H 2.35303 3.04796 -0.86739  0.000
57 H 2.95684 4.29556 -1.85478  0.000
58 F 1.49806 -1.16936 -4.34825  0.000
59 C 2.67950 -0.53205 -4.30531  0.000
60 F 3.56809 -1.23571 -4.98296  0.000
61 F 2.51792 0.64895 -4.91279  0.000
62 S 3.24159 -0.24616 -2.53271  0.000
63 O 2.97350 1.15109 -2.31505  0.000
64 O 4.59663 -0.69372 -2.48236  0.000
65 N 2.19872 -1.05236 -1.62045  0.001
66 S 2.35368 -2.65179 -1.55963  0.000
67 O 3.18698 -3.17861 -2.59543  0.000
68 O 1.07727 -3.23790 -1.29473  0.000
69 C 3.27932 -2.90723 0.01759  0.000
70 F 3.46510 -4.21176 0.21390  0.000
71 F 2.57832 -2.41943 1.04900  0.000
72 F 4.46576 -2.30396 0.00151  0.000
73 C 3.07056 2.94388 3.78709  0.000
74 N 2.95152 2.25076 2.51670  0.001
75 C 3.84054 1.34724 1.98426  0.001
76 C 3.32892 0.97709 0.77906  0.002
77 N 2.13637 1.63137 0.56154  0.020
78 C 1.95083 2.38783 1.62636  0.001
79 H 3.94361 2.56301 4.30960  0.000
80 H 2.18830 2.76589 4.39921  0.000
81 H 3.19237 4.01421 3.62964  0.000
82 H 4.73297 1.04902 2.50615  0.000
83 H 3.74477 0.28521 0.07104  0.000
84 H 1.10831 3.04028 1.79175  0.000

Results
**⟨S²⟩**: 0.81
**Highest occupied orbital energy (spin up / spin down)**: -7.74 / -7.80 eV
**Energy**: -153169.495 eV
**Gap between HOMO and LUMO (spin up / spin down)**: 7.73 / 7.82 eV
**2S+1**: 2

----------

ORCA calculation (ωB97M-V/def2-TZVPD) on 8 unconnected molecules or ions with the total composition C35H45F24N3O7 in a non-equilibrium geometry.

```
114
Properties=species:S:1:pos:R:3:forces:R:3
H 2.284 0.738 2.608 -0.1 0.0 0.0
H -2.370 1.983 3.445 0.0 0.1 -0.1
H 2.144 2.127 -3.540 0.0 0.6 0.0
F 3.608 -4.919 -1.347 0.0 0.2 -0.5
C 2.242 -0.015 4.639 0.6 -2.2 0.2
O -2.740 8.748 2.930 -1.5 -0.3 0.1
........

Worked solution:
33 C -1.28045 -2.62681 1.06192  0.000
34 H -0.55779 -2.89615 5.15284  0.000
35 H -1.32889 -4.64769 7.35720  0.000
36 H -2.68472 -6.68265 7.72959  0.000
37 H -3.85094 -7.79017 5.87395  0.000
38 H -3.70400 -6.89652 3.56040  0.000
39 H 0.24888 -1.40137 3.81238  0.000
40 H 0.96466 0.21702 2.14559  0.000
41 H -1.10657 -1.67601 -0.84728  0.000
42 H -1.90823 -3.42989 0.70567  0.000
43 C -1.91997 4.16483 -5.73886  0.000
44 C -0.86499 3.05918 -5.70888  0.000
45 C -0.10559 3.03163 -4.42354  0.000
46 N -0.29860 2.17103 -3.49172  0.000
47 N 0.48912 2.35502 -2.38701  -0.007
48 C 1.29411 3.37075 -2.51316  -0.001
49 N 2.15113 3.77808 -1.54542  0.000
50 S 1.11112 4.20266 -4.01702  0.000
51 H -2.47645 4.13170 -6.67497  0.000
52 H -1.46389 5.15239 -5.65289  0.000
53 H -2.62277 4.04050 -4.91520  0.000
54 H -0.16401 3.17900 -6.53752  0.000
55 H -1.33548 2.08160 -5.81526  0.000
56 H 2.35303 3.04796 -0.86739  0.000
57 H 2.95684 4.29556 -1.85478  0.000
58 F 1.49806 -1.16936 -4.34825  0.000
59 C 2.67950 -0.53205 -4.30531  0.000
60 F 3.56809 -1.23571 -4.98296  0.000
61 F 2.51792 0.64895 -4.91279  0.000
62 S 3.24159 -0.24616 -2.53271  0.000
63 O 2.97350 1.15109 -2.31505  0.000
64 O 4.59663 -0.69372 -2.48236  0.000
65 N 2.19872 -1.05236 -1.62045  0.001
66 S 2.35368 -2.65179 -1.55963  0.000
67 O 3.18698 -3.17861 -2.59543  0.000
68 O 1.07727 -3.23790 -1.29473  0.000
69 C 3.27932 -2.90723 0.01759  0.000
70 F 3.46510 -4.21176 0.21390  0.000
71 F 2.57832 -2.41943 1.04900  0.000
72 F 4.46576 -2.30396 0.00151  0.000
73 C 3.07056 2.94388 3.78709  0.000
74 N 2.95152 2.25076 2.51670  0.001
75 C 3.84054 1.34724 1.98426  0.001
76 C 3.32892 0.97709 0.77906  0.002
77 N 2.13637 1.63137 0.56154  0.020
78 C 1.95083 2.38783 1.62636  0.001
79 H 3.94361 2.56301 4.30960  0.000
80 H 2.18830 2.76589 4.39921  0.000
81 H 3.19237 4.01421 3.62964  0.000
82 H 4.73297 1.04902 2.50615  0.000
83 H 3.74477 0.28521 0.07104  0.000
84 H 1.10831 3.04028 1.79175  0.000

Results
**⟨S²⟩**: 0.81
**Highest occupied orbital energy (spin up / spin down)**: -7.74 / -7.80 eV
**Energy**: -153169.495 eV
**Gap between HOMO and LUMO (spin up / spin down)**: 7.73 / 7.82 eV
**2S+1**: 2

----------

ORCA calculation (ωB97M-V/def2-TZVPD) on 8 unconnected molecules or ions with the total composition C35H45F24N3O7 in a non-equilibrium geometry.

```
114
Properties=species:S:1:pos:R:3:forces:R:3
H 2.284 0.738 2.608 -0.1 0.0 0.0
H -2.370 1.983 3.445 0.0 0.1 -0.1
H 2.144 2.127 -3.540 0.0 0.6 0.0
F 3.608 -4.919 -1.347 0.0 0.2 -0.5
C 2.242 -0.015 4.639 0.6 -2.2 0.2
O -2.740 8.748 2.930 -1.5 -0.3 0.1